# 8 Function of Content Marketing 📚

Part 8 of a series on Robert Bly’s book, The Content Marketing Handbook


Number Eight function of content marketing.

Hi, I’m Brian Pombo. Welcome back to Brian J. Pombo Live.

What is the number eight function of content marketing?

Is it SEO?

Well, let’s go back to the book Content Marketing Handbook by Bob Bly.

It’s great stuff.

It’s got a lot of good important ideas in here. And he in it, he has the nine, the nine functions of content marketing, which we’ve been reviewing here on the show, if this is your first time, go back and see the first seven.

Stay tuned for the last final one tomorrow. But number eight is improved search engine ranking and discovery. Okay, so how do you go about doing that? Well, that’s what SEO stands for Search Engine Optimization.

If you’re not familiar with it, I’ll give you a little, a quick little story. So when I first started doing a lot of online marketing, I was actually working for a company.

I fell upon some secrets of search engine optimization and this was during the days when it was extremely easy to get ranking in Google, even.

But I remember even at that time, they said, well, it was a lot easier in Yahoo days. Nowadays, it’s tougher, but there were always ways to go about doing it.

All you had to do was know what the ways were. You can get better and better, and I fell upon it accidentally myself.

Then I started hearing a lot of internet marketing gurus and so forth, talking about these things, and discussing what all of the mean, and why Google treats certain things the way it does.

That’s how I was introduced to a lot of marketing concepts was through this position, I went and started my own firm, it started out not as a business investment firm, it actually started out as an SEO firm, I was doing search engine optimization for the first handful of years.

It was all actually open to the point of when Google started, really cracking down on organic search and trying to encourage more and more people to do paid search, you know, pay per click, and so forth.

All Up until that time, I was SEO all the way, it was the only thing I knew it was the only thing i i really promoted hard.

I understand the concept behind it to this day, organic search, or, which is basically anything you show up in Google, or any other thing you would consider it a search engine, some people consider amazon.com and search engine or YouTube, a search engine, anything you show up in via a search function that can be improved by how you title something, or how you code something.

That’s all considered search engine optimization.

So with that in mind, what he’s saying here, improved search engine ranking and discovery, just by putting out content on a regular basis, you will be improving search engine ranking, ranking, and therefore, your discovery, you’re going to be found a lot more often. And he goes through some details.

As far as that goes, I’m going to tell you another story.

As I was moving along with my business early on, the name of my business was branded Web Solutions.

That was the main push I wanted a very autonomous group that was separate from me, where I can hire on other people, maybe eventually even sell the business.

As I was going along, I would get in contact with people and get things moving along and they had always hit this barrier.

I’ve discussed it here before if you’ve if you’ve been listening or watching the show, on a regular basis, you’ll be familiar with this, I would come across people saying, Ah, it’s really great.

Everything you’re showing me is good. It’s a great promise and everything.

I wish you had some more detail.

I wish I could find more about you on you online.

I wish you had more testimonials or something that I can really sink my teeth into. So there was a trust slash proof issue going on there.

I saw that if you search for my name, you know my Facebook and my Twitter and a lot of my social media would pop up but I didn’t have a whole lot on there other than personal stuff.

Then you might get like the bio page off of my website that there wasn’t a lot there wasn’t a whole lot out there.

What if people wanted to find out more about me and find out more than if you tried searching for my for the website name that you know my company name, you find stuff, but be all basically the same.

There was no regular media content, no content marketing whatsoever going on out there.

Fast forward a lot of what I put into place, and with what you’re watching now, or listening to now, that all happened, because I needed to be able to put more out there, I changed the name of my company, and made it surrounding my name, which is not something that’s natural to me, I’m not person that Toots their own horn.

But I needed to be out there more often.

So this day, if you go and type in Brian J Pombo into any search engine, you’re going to get quite a few more things than you would otherwise.

That started out with audio podcasts where I was interviewing people off the bread biz podcast was one of my original ones when we’re dealing very specifically in the Self Reliance field.

I also have a local podcast Grants Pass VIP, which deals with Josephine County in Oregon.

Interviewing people in that area. Both of those are great to listen to whether you’re interested in those areas are not because it it plays into the business owner mentality. So many of the episodes do.

That’s been a lot of fun. I’ve really enjoyed it and this show has been incredible, because it’s been the most consistent is I’m doing this on a nearly nightly basis, meeting with you on a regular basis here and have a lot of fun with it.

But that has increased, just made amazing search engine results. And the fact that it’s a podcast, for one thing, it’s available on video, and YouTube and so forth.

So it shows up for that. It also shows up for audio podcasts because we put an audio version out. And that goes out in a million different ways.

So every title that I put out there, you can find as long as there’s not huge competition for that specific title, you can find it by typing it into Google and not just see my website, but be able to see it on all the other places all around the web, which is pretty fantastic.

It gives me the reach that I was lacking before.

That’s kind of my content marketing story, at least on the podcasting end of things you add in having a book and everything else.

But if you’re talking about consistent content marketing, the podcasts have made the biggest difference for what I do, and it all comes back to that function.

Very simple function, if it really did nothing besides that, it would be worth my time, if that makes sense.

Because it allows me to be able to get out there and be seen and be known, even if by no one else.

But those people I’m already having conversations with or people that I’ve lost track with.

They see me popping up in their LinkedIn, in their Facebook, in their YouTube. And everywhere else that people hang out at. That’s my main, my main modus operandi. So hopefully that makes sense.

Hopefully you can I’m not just talking about me, I’m talking about something that hopefully you can take and run with. And I’m going to have, I’ve just bought some domain names.

So we’re going to be presenting a domain name soon once we have a site ready for you to be able to secure your spot. In our live content marketing training, the very first one that I’m putting out, is coming out live and we will be selling it after the fact.

But if you come on live, you’ll get it at a discount because we want to encourage some people to come on.

I want you to bring your questions, all your questions regarding content marketing will be entertained, and we will discuss it as much as detail as we possibly can.

## Someone pasted calculated crystals at this point
'''
Entry 1:
Structure and calculated PXRD pattern of TaTc2HPd (a crystal structure in Alexandria, relaxed with GGA-PBE; CuKα).
Neutral-atom scattering factors, no anomalous dispersion.

Crystal structure
```
data_TaTc2HPd
_cell_length_a 4.007
_cell_length_b 4.007
_cell_length_c 3.960
_cell_angle_alpha 90.00
_cell_angle_beta 90.00
_cell_angle_gamma 90.00
_symmetry_space_group_name_H-M 'P 4/m m m'
_symmetry_Int_Tables_number 123
_symmetry_space_group_name_Hall '-P 4 2'
loop_
_atom_site_label
_atom_site_type_symbol
_atom_site_fract_x
_atom_site_fract_y
_atom_site_fract_z
Ta1 Ta 0.000 0.000 0.000
Tc1 Tc 0.000 0.500 0.500
H1 H 0.500 0.500 0.500
Pd1 Pd 0.500 0.500 0.000
```

The 12 most intense peaks (2θ = 10–80°), by angle:
d (Å), 2θ (°), I (rel.)
4.007, 22.18, 3.9
3.960, 22.45, 2.9
2.833, 31.58, 2.8
2.817, 31.77, 3.7
2.304, 39.09, 100.0
2.004, 45.26, 33.2
1.980, 45.83, 16.0
1.788, 51.09, 1.5
1.633, 56.35, 1.6
1.417, 65.93, 10.6
1.408, 66.38, 20.8
1.207, 79.40, 24.9

=====

Entry 2:
Structure and calculated PXRD pattern of B13P (a crystal structure in Alexandria, relaxed with GGA-PBE; CuKα).
Neutral-atom scattering factors, no anomalous dispersion.

Crystal structure
```
data_B13P
_cell_length_a 5.8567
_cell_length_b 5.8567
_cell_length_c 11.7418
_cell_angle_alpha 90.00
_cell_angle_beta 90.00
_cell_angle_gamma 120.00
_symmetry_space_group_name_H-M 'R 3 m'
_symmetry_Int_Tables_number 160
_symmetry_space_group_name_Hall 'R 3 -2"'
loop_
_atom_site_label
_atom_site_type_symbol
_atom_site_fract_x
_atom_site_fract_y
_atom_site_fract_z
B1 B 0.0000 0.0000 0.0480
B2 B 0.1032 0.2064 0.5222
B3 B 0.1674 0.3349 0.6667
B4 B 0.1740 0.3480 0.2763
B5 B 0.2083 0.1042 0.7538
P1 P 0.0000 0.0000 0.2170
```

The 12 most intense peaks (2θ = 10–80°), by angle:
d (Å), 2θ (°), I (rel.)
3.838, 23.17, 100.0
2.928, 30.53, 22.0
2.541, 35.33, 54.4
2.479, 36.24, 89.9
2.345, 38.39, 25.7
1.892, 48.09, 16.0
1.627, 56.56, 19.0
1.485, 62.55, 29.8
1.464, 63.54, 16.9
1.399, 66.88, 16.8
1.397, 67.00, 16.1
1.368, 68.60, 16.9

=====

Entry 3:
Structure and calculated PXRD pattern of Tl12As (a crystal structure in Alexandria, relaxed with GGA-PBE; CuKα).
Neutral-atom scattering factors, no anomalous dispersion.

Crystal structure
```
data_Tl12As
_cell_length_a 9.296
_cell_length_b 9.296
_cell_length_c 9.296
_cell_angle_alpha 90.00
_cell_angle_beta 90.00
_cell_angle_gamma 90.00
_symmetry_space_group_name_H-M 'I m -3'
_symmetry_Int_Tables_number 204
_symmetry_space_group_name_Hall '-I 2 2 3'
loop_
_atom_site_label
_atom_site_type_symbol
_atom_site_fract_x
_atom_site_fract_y
_atom_site_fract_z
Tl1 Tl 0.000 0.178 0.309
As1 As 0.000 0.000 0.000
```

The 12 most intense peaks (2θ = 10–80°), by angle:
d (Å), 2θ (°), I (rel.)
3.287, 27.13, 22.0
2.940, 30.41, 100.0
2.683, 33.39, 29.0
2.484, 36.16, 72.6
2.191, 41.20, 8.4
2.079, 43.54, 9.0
1.823, 50.03, 7.6
1.594, 57.84, 46.7
1.549, 59.68, 13.6
1.508, 61.49, 32.0
1.371, 68.45, 13.1
1.315, 71.81, 11.6

=====

Entry 4:
'''

I’d love to find out what what’s holding you back from doing everything you want to do with content marketing in your business.

So we’ll be talking about that in the future.

For now, go check out my book, 9 Ways to Amazon-Proof Your Business. It’s all about overcoming competitive forces by using the right strategy. You get a free copy at AmazonProofBook.com

We’ll be back tomorrow night with number nine. We’ll see you then. In the meantime, get out there and let the magic happen.